**File**
=====
Material: Sc2AlAgP
Method: DFT, PBE
State: optimized geometry

Geometry as POSCAR:
```
Sc2AlAgP
1.0
-4.454 2.197 -1.445
0.959 -0.844 -4.241
-2.379 -4.578 0.373
Sc P Ag Al
2 1 1 1
Direct
0.500 0.000 0.000 Sc
0.000 0.000 0.500 Sc
0.000 0.500 0.000 P
0.500 0.500 0.500 Ag
0.000 0.000 0.000 Al
```

Properties
E_form in meV/atom: 392.8
Space-group type: P4/mmm, No. 123



Material: ZnPdAu3
Method: DFT, PBE
State: optimized geometry

Geometry as POSCAR:
```
ZnPdAu3
1.0
-4.128 2.729 0.107
-3.211 -1.726 -3.364
-4.846 -3.356 4.817
Au Zn Pd
6 2 2
Direct
0.969 0.358 0.809 Au
0.158 0.339 0.413 Au
0.253 0.850 0.202 Au
0.659 0.839 0.411 Au
0.442 0.831 0.806 Au
0.752 0.350 0.203 Au
0.362 0.342 0.002 Zn
0.049 0.846 0.613 Zn
0.569 0.328 0.616 Pd
0.842 0.861 0.998 Pd
```

Properties
E_form in meV/atom: -181.3
Space-group type: P-1, No. 2



Material: Ho6Rh5Au
Method: DFT, PBE
State: optimized geometry

Geometry as POSCAR:
```
Ho6Rh5Au
1.0
4.593 -0.027 1.548
0.037 6.933 0.012
0.023 -0.014 7.676
Rh Ho Au
5 6 1
Direct
0.333 0.000 0.335 Rh
0.334 0.500 0.333 Rh
0.667 0.000 0.665 Rh
0.000 0.500 0.000 Rh
0.666 0.500 0.667 Rh
0.500 0.743 0.000 Ho
0.831 0.748 0.340 Ho
0.831 0.252 0.340 Ho
0.169 0.748 0.660 Ho
0.169 0.252 0.660 Ho
0.500 0.257 0.000 Ho
0.000 0.000 0.000 Au
```

Properties
E_form in meV/atom: -887.8
Space-group type: P2/m, No. 10



Material: Rb2URe3O12
Method: DFT, PBE
State: optimized geometry

Geometry as POSCAR:
```
Rb2URe3O12
1.0
7.555 0.156 0.111
3.867 6.492 0.111
3.867 2.251 6.091
Re O Rb U
3 12 2 1
Direct
0.000 0.000 0.500 Re
0.000 0.500 0.000 Re
0.500 0.000 0.000 Re
0.074 0.074 0.663 O
0.926 0.337 0.926 O
0.926 0.926 0.337 O
0.698 0.068 0.698 O
0.068 0.698 0.698 O
0.932 0.302 0.302 O
0.074 0.663 0.074 O
0.337 0.926 0.926 O
0.663 0.074 0.074 O
0.698 0.698 0.068 O
0.302 0.302 0.932 O
0.302 0.932 0.302 O
0.624 0.624 0.624 Rb
0.376 0.376 0.376 Rb
0.000 0.000 0.000 U
```

Properties
Formation energy (no corrections) in eV/f.u.: -35.83
Space-group type: R-3m, No. 166



Material: Sm6BiSb3As2
Method: DFT, PBE
State: optimized geometry

Geometry as POSCAR:
```
Sm6BiSb3As2
1.0
4.391 0.000 0.000
0.000 8.817 0.322
-2.196 -2.531 9.246
Sm Sb Bi As
6 3 1 2
Direct
0.671 0.097 0.341 Sm
0.007 0.258 0.013 Sm
0.671 0.575 0.342 Sm
0.329 0.425 0.658 Sm
0.329 0.903 0.659 Sm
0.993 0.742 0.987 Sm
0.500 0.500 0.000 Sb
0.836 0.168 0.673 Sb
0.164 0.832 0.327 Sb
0.500 0.000 0.000 Bi
0.832 0.665 0.663 As
0.168 0.335 0.337 As
```

Properties
Formation energy (no corrections) in eV/f.u.: -14.75
Space-group type: C2/m, No. 12



Material: PaSe2ClO8
Method: DFT, PBE
State: optimized geometry

Geometry as POSCAR:
```
PaSe2ClO8
1.0
-5.032 1.065 3.607
-0.561 -3.410 -5.246
1.126 -4.762 2.976
O Pa Se Cl
8 1 2 1
Direct
0.616 0.808 0.859 O
0.384 0.192 0.141 O
0.808 0.192 0.141 O
0.192 0.808 0.859 O
0.667 0.333 0.543 O
0.808 0.616 0.141 O
0.192 0.384 0.859 O
0.333 0.667 0.457 O
0.000 0.000 0.000 Pa
=====

**Activity**
Find the line further up that holds "0.000 Al", then write out that line and all lines after it there.

**Outcome**
0.000 0.000 0.000 Al
```

Properties
E_form in meV/atom: 392.8
Space-group type: P4/mmm, No. 123



Material: ZnPdAu3
Method: DFT, PBE
State: optimized geometry

Geometry as POSCAR:
```
ZnPdAu3
1.0
-4.128 2.729 0.107
-3.211 -1.726 -3.364
-4.846 -3.356 4.817
Au Zn Pd
6 2 2
Direct
0.969 0.358 0.809 Au
0.158 0.339 0.413 Au
0.253 0.850 0.202 Au
0.659 0.839 0.411 Au
0.442 0.831 0.806 Au
0.752 0.350 0.203 Au
0.362 0.342 0.002 Zn
0.049 0.846 0.613 Zn
0.569 0.328 0.616 Pd
0.842 0.861 0.998 Pd
```

Properties
E_form in meV/atom: -181.3
Space-group type: P-1, No. 2



Material: Ho6Rh5Au
Method: DFT, PBE
State: optimized geometry

Geometry as POSCAR:
```
Ho6Rh5Au
1.0
4.593 -0.027 1.548
0.037 6.933 0.012
0.023 -0.014 7.676
Rh Ho Au
5 6 1
Direct
0.333 0.000 0.335 Rh
0.334 0.500 0.333 Rh
0.667 0.000 0.665 Rh
0.000 0.500 0.000 Rh
0.666 0.500 0.667 Rh
0.500 0.743 0.000 Ho
0.831 0.748 0.340 Ho
0.831 0.252 0.340 Ho
0.169 0.748 0.660 Ho
0.169 0.252 0.660 Ho
0.500 0.257 0.000 Ho
0.000 0.000 0.000 Au
```

Properties
E_form in meV/atom: -887.8
Space-group type: P2/m, No. 10



Material: Rb2URe3O12
Method: DFT, PBE
State: optimized geometry

Geometry as POSCAR:
```
Rb2URe3O12
1.0
7.555 0.156 0.111
3.867 6.492 0.111
3.867 2.251 6.091
Re O Rb U
3 12 2 1
Direct
0.000 0.000 0.500 Re
0.000 0.500 0.000 Re
0.500 0.000 0.000 Re
0.074 0.074 0.663 O
0.926 0.337 0.926 O
0.926 0.926 0.337 O
0.698 0.068 0.698 O
0.068 0.698 0.698 O
0.932 0.302 0.302 O
0.074 0.663 0.074 O
0.337 0.926 0.926 O
0.663 0.074 0.074 O
0.698 0.698 0.068 O
0.302 0.302 0.932 O
0.302 0.932 0.302 O
0.624 0.624 0.624 Rb
0.376 0.376 0.376 Rb
0.000 0.000 0.000 U
```

Properties
Formation energy (no corrections) in eV/f.u.: -35.83
Space-group type: R-3m, No. 166



Material: Sm6BiSb3As2
Method: DFT, PBE
State: optimized geometry

Geometry as POSCAR:
```
Sm6BiSb3As2
1.0
4.391 0.000 0.000
0.000 8.817 0.322
-2.196 -2.531 9.246
Sm Sb Bi As
6 3 1 2
Direct
0.671 0.097 0.341 Sm
0.007 0.258 0.013 Sm
0.671 0.575 0.342 Sm
0.329 0.425 0.658 Sm
0.329 0.903 0.659 Sm
0.993 0.742 0.987 Sm
0.500 0.500 0.000 Sb
0.836 0.168 0.673 Sb
0.164 0.832 0.327 Sb
0.500 0.000 0.000 Bi
0.832 0.665 0.663 As
0.168 0.335 0.337 As
```

Properties
Formation energy (no corrections) in eV/f.u.: -14.75
Space-group type: C2/m, No. 12



Material: PaSe2ClO8
Method: DFT, PBE
State: optimized geometry

Geometry as POSCAR:
```
PaSe2ClO8
1.0
-5.032 1.065 3.607
-0.561 -3.410 -5.246
1.126 -4.762 2.976
O Pa Se Cl
8 1 2 1
Direct
0.616 0.808 0.859 O
0.384 0.192 0.141 O
0.808 0.192 0.141 O
0.192 0.808 0.859 O
0.667 0.333 0.543 O
0.808 0.616 0.141 O
0.192 0.384 0.859 O
0.333 0.667 0.457 O
0.000 0.000 0.000 Pa